• Data:
Li2HfSb2 | the Alexandria database | PBE-GGA | relaxed; total magnetic moment = 0.0 μB/cell; calculated density = 7.30 g cm⁻³; energy relative to the elements, uncorrected = -0.27 eV per atom
1.0
7.8867 0.0000 0.0000
0.0000 7.8867 0.0000
0.0000 0.0000 3.1873
Li Hf Sb
4 2 4
direct
0.1103 0.3897 0.0000
0.3897 0.8897 0.0000
0.6103 0.1103 0.0000
0.8897 0.6103 0.0000
0.0000 0.0000 0.0000
0.5000 0.5000 0.0000
0.1870 0.6870 0.5000
0.3130 0.1870 0.5000
0.6870 0.8130 0.5000
0.8130 0.3130 0.5000

* * * * *

Computed, not measured: MnVTcO6 after structural relaxation at the PBE with a Hubbard U level of DFT.

Properties
uncorrected energy = -7.688 eV/atom

Unit cell a=5.0663 b=5.0663 c=9.2122 alpha=90.00 beta=90.00 gamma=120.00
Site moments in Bohr magnetons follow the coordinates.
Atoms (fractional coordinates):
Mn 0.0000 0.0000 0.0000  4.56
Mn 0.0000 0.0000 0.5000  4.56
V 0.3333 0.6667 0.2500  0.67
V 0.6667 0.3333 0.7500  0.67
Tc 0.6667 0.3333 0.2500  1.47
Tc 0.3333 0.6667 0.7500  1.47
O 0.6382 0.6453 0.1357  0.00
O 0.0072 0.3618 0.1357  0.00
O 0.3618 0.0072 0.6357  0.00
O 0.9928 0.6382 0.8643  0.00
O 0.3547 0.3618 0.3643  0.00
O 0.0072 0.6453 0.3643  0.00
O 0.6453 0.0072 0.8643  0.00
O 0.6382 0.9928 0.3643  0.00
O 0.9928 0.3547 0.6357  0.00
O 0.3547 0.9928 0.1357  0.00
O 0.6453 0.6382 0.6357  0.00
O 0.3618 0.3547 0.8643  0.00
• Assignment:
Could you write out only the lines further above with the word "relaxation" in them?
• Worked solution:
Computed, not measured: MnVTcO6 after structural relaxation at the PBE with a Hubbard U level of DFT.